## Material
-- begin --
# 1
Computed, not measured: a geometry-optimized NdSm3Er3Te8 structure at the PBE level of DFT.

DOS(E_F): 6.83 states/eV/cell
Uncorrected energy: -5.234 eV/atom
E_form (uncorrected): -1384 meV/atom

Cell lengths 8.744, 8.744, 8.744 Å; angles 59.97, 59.97, 59.97 degrees
Fractional positions:
Nd1 0.000 0.000 0.000
Sm1 0.000 0.000 0.500
Sm2 0.000 0.500 0.000
Sm3 0.500 0.000 0.000
Er1 0.000 0.500 0.500
Er2 0.500 0.000 0.500
Er3 0.500 0.500 0.000
Te1 0.253 0.253 0.253
Te2 0.260 0.260 0.733
Te3 0.260 0.733 0.260
Te4 0.267 0.740 0.740
Te5 0.733 0.260 0.260
Te6 0.740 0.267 0.740
Te7 0.740 0.740 0.267
Te8 0.747 0.747 0.747

# 2
Computed, not measured: a geometry-optimized NdYGe2Pd5 structure at the PBE level of DFT.

DOS(E_F): 2.70 states/eV/cell
Uncorrected energy: -5.959 eV/atom
Calculated formation energy: -0.800 eV per atom

Cell lengths 4.276, 4.276, 9.149 Å; angles 90.00, 90.00, 90.00 degrees
Fractional positions:
Nd1 0.000 0.000 0.000
Y1 0.000 0.000 0.500
Ge1 0.500 0.500 0.366
Ge2 0.500 0.500 0.634
Pd1 0.000 0.500 0.229
Pd2 0.000 0.500 0.771
Pd3 0.500 0.000 0.229
Pd4 0.500 0.000 0.771
Pd5 0.500 0.500 0.000

# 3
Computed, not measured: a geometry-optimized LaCd2As2 structure at the PBE level of DFT.

DOS(E_F): 5.67 states/eV/cell
Uncorrected energy: -3.574 eV/atom
Calculated formation energy: -0.363 eV per atom

Cell lengths 7.996, 7.996, 3.814 Å; angles 90.00, 90.00, 90.00 degrees
Fractional positions:
La1 0.000 0.000 0.000
La2 0.500 0.500 0.000
Cd1 0.139 0.361 0.500
Cd2 0.361 0.861 0.500
Cd3 0.639 0.139 0.500
Cd4 0.861 0.639 0.500
As1 0.157 0.657 0.000
As2 0.343 0.157 0.000
As3 0.657 0.843 0.000
As4 0.843 0.343 0.000

# 4
Computed, not measured: a geometry-optimized PrDy8Bi6 structure at the PBE level of DFT.

DOS(E_F): 9.18 states/eV/cell
Uncorrected energy: -4.851 eV/atom
Calculated formation energy: -0.525 eV per atom

Cell lengths 10.762, 10.762, 10.762 Å; angles 42.01, 42.01, 42.01 degrees
Fractional positions:
Pr1 0.000 0.000 0.000
Dy1 0.125 0.795 0.446
Dy2 0.205 0.554 0.875
Dy3 0.334 0.334 0.334
Dy4 0.446 0.125 0.795
Dy5 0.554 0.875 0.205
Dy6 0.666 0.666 0.666
Dy7 0.795 0.446 0.125
Dy8 0.875 0.205 0.554
Bi1 0.062 0.406 0.723
Bi2 0.277 0.938 0.594
Bi3 0.406 0.723 0.062
Bi4 0.594 0.277 0.938
Bi5 0.723 0.062 0.406
Bi6 0.938 0.594 0.277

# 5
Computed, not measured: a geometry-optimized Cs2KInF6 structure at the PBE level of DFT.

DOS(E_F): 0.00 states/eV/cell
Uncorrected energy: -4.450 eV/atom
E_form (uncorrected): -2773 meV/atom

Cell lengths 6.667, 6.668, 6.668 Å; angles 60.03, 90.00, 60.03 degrees
Fractional positions:
Cs1 0.250 0.000 0.250
Cs2 0.750 0.000 0.750
K1 0.000 0.500 0.500
In1 0.500 0.500 0.000
F1 0.265 0.502 0.213
F2 0.277 0.949 0.775
F3 0.286 0.500 0.766
F4 0.714 0.500 0.234
F5 0.723 0.051 0.225
F6 0.735 0.498 0.787

# 6
Computed, not measured: a geometry-optimized KLiSn2S4 structure at the PBE level of DFT.

DOS(E_F): 0.27 states/eV/cell
Uncorrected energy: -4.064 eV/atom
E_form (uncorrected): -623 meV/atom

Cell lengths 6.319, 6.319, 6.319 Å; angles 116.55, 112.90, 99.43 degrees
Fractional positions:
K1 0.000 0.000 0.000
Li1 0.500 0.500 0.000
Sn1 0.199 0.699 0.500
Sn2 0.801 0.301 0.500
S1 0.156 0.577 0.047
S2 0.470 0.423 0.580
S3 0.530 0.109 0.953
S4 0.844 0.891 0.420

# 7
Computed, not measured: a geometry-optimized BaMg2In6 structure at the PBE level of DFT.

DOS(E_F): 2.70 states/eV/cell
Uncorrected energy: -2.509 eV/atom
Energy above the most stable polymorph in this dataset: 0.0 meV/atom
Calculated formation energy: -0.115 eV per atom

Cell lengths 9.222, 9.222, 3.352 Å; angles 90.00, 90.00, 120.00 degrees
Fractional positions:
Ba1 0.000 0.000 0.000
Mg1 0.333 0.667 0.000
Mg2 0.667 0.333 0.000
In1 0.000 0.343 0.500
In2 0.000 0.657 0.500
In3 0.343 0.000 0.500
In4 0.343 0.343 0.500
In5 0.657 0.000 0.500
In6 0.657 0.657 0.500

# 8
Computed, not measured: a geometry-optimized Ti2AgAu2 structure at the PBE level of DFT.

DOS(E_F): 8.98 states/eV/cell
Uncorrected energy: -5.245 eV/atom
-- stop --

## Request
Return everything above verbatim.

## Reply
# 1
Computed, not measured: a geometry-optimized NdSm3Er3Te8 structure at the PBE level of DFT.

DOS(E_F): 6.83 states/eV/cell
Uncorrected energy: -5.234 eV/atom
E_form (uncorrected): -1384 meV/atom

Cell lengths 8.744, 8.744, 8.744 Å; angles 59.97, 59.97, 59.97 degrees
Fractional positions:
Nd1 0.000 0.000 0.000
Sm1 0.000 0.000 0.500
Sm2 0.000 0.500 0.000
Sm3 0.500 0.000 0.000
Er1 0.000 0.500 0.500
Er2 0.500 0.000 0.500
Er3 0.500 0.500 0.000
Te1 0.253 0.253 0.253
Te2 0.260 0.260 0.733
Te3 0.260 0.733 0.260
Te4 0.267 0.740 0.740
Te5 0.733 0.260 0.260
Te6 0.740 0.267 0.740
Te7 0.740 0.740 0.267
Te8 0.747 0.747 0.747

# 2
Computed, not measured: a geometry-optimized NdYGe2Pd5 structure at the PBE level of DFT.

DOS(E_F): 2.70 states/eV/cell
Uncorrected energy: -5.959 eV/atom
Calculated formation energy: -0.800 eV per atom

Cell lengths 4.276, 4.276, 9.149 Å; angles 90.00, 90.00, 90.00 degrees
Fractional positions:
Nd1 0.000 0.000 0.000
Y1 0.000 0.000 0.500
Ge1 0.500 0.500 0.366
Ge2 0.500 0.500 0.634
Pd1 0.000 0.500 0.229
Pd2 0.000 0.500 0.771
Pd3 0.500 0.000 0.229
Pd4 0.500 0.000 0.771
Pd5 0.500 0.500 0.000

# 3
Computed, not measured: a geometry-optimized LaCd2As2 structure at the PBE level of DFT.

DOS(E_F): 5.67 states/eV/cell
Uncorrected energy: -3.574 eV/atom
Calculated formation energy: -0.363 eV per atom

Cell lengths 7.996, 7.996, 3.814 Å; angles 90.00, 90.00, 90.00 degrees
Fractional positions:
La1 0.000 0.000 0.000
La2 0.500 0.500 0.000
Cd1 0.139 0.361 0.500
Cd2 0.361 0.861 0.500
Cd3 0.639 0.139 0.500
Cd4 0.861 0.639 0.500
As1 0.157 0.657 0.000
As2 0.343 0.157 0.000
As3 0.657 0.843 0.000
As4 0.843 0.343 0.000

# 4
Computed, not measured: a geometry-optimized PrDy8Bi6 structure at the PBE level of DFT.

DOS(E_F): 9.18 states/eV/cell
Uncorrected energy: -4.851 eV/atom
Calculated formation energy: -0.525 eV per atom

Cell lengths 10.762, 10.762, 10.762 Å; angles 42.01, 42.01, 42.01 degrees
Fractional positions:
Pr1 0.000 0.000 0.000
Dy1 0.125 0.795 0.446
Dy2 0.205 0.554 0.875
Dy3 0.334 0.334 0.334
Dy4 0.446 0.125 0.795
Dy5 0.554 0.875 0.205
Dy6 0.666 0.666 0.666
Dy7 0.795 0.446 0.125
Dy8 0.875 0.205 0.554
Bi1 0.062 0.406 0.723
Bi2 0.277 0.938 0.594
Bi3 0.406 0.723 0.062
Bi4 0.594 0.277 0.938
Bi5 0.723 0.062 0.406
Bi6 0.938 0.594 0.277

# 5
Computed, not measured: a geometry-optimized Cs2KInF6 structure at the PBE level of DFT.

DOS(E_F): 0.00 states/eV/cell
Uncorrected energy: -4.450 eV/atom
E_form (uncorrected): -2773 meV/atom

Cell lengths 6.667, 6.668, 6.668 Å; angles 60.03, 90.00, 60.03 degrees
Fractional positions:
Cs1 0.250 0.000 0.250
Cs2 0.750 0.000 0.750
K1 0.000 0.500 0.500
In1 0.500 0.500 0.000
F1 0.265 0.502 0.213
F2 0.277 0.949 0.775
F3 0.286 0.500 0.766
F4 0.714 0.500 0.234
F5 0.723 0.051 0.225
F6 0.735 0.498 0.787

# 6
Computed, not measured: a geometry-optimized KLiSn2S4 structure at the PBE level of DFT.

DOS(E_F): 0.27 states/eV/cell
Uncorrected energy: -4.064 eV/atom
E_form (uncorrected): -623 meV/atom

Cell lengths 6.319, 6.319, 6.319 Å; angles 116.55, 112.90, 99.43 degrees
Fractional positions:
K1 0.000 0.000 0.000
Li1 0.500 0.500 0.000
Sn1 0.199 0.699 0.500
Sn2 0.801 0.301 0.500
S1 0.156 0.577 0.047
S2 0.470 0.423 0.580
S3 0.530 0.109 0.953
S4 0.844 0.891 0.420

# 7
Computed, not measured: a geometry-optimized BaMg2In6 structure at the PBE level of DFT.

DOS(E_F): 2.70 states/eV/cell
Uncorrected energy: -2.509 eV/atom
Energy above the most stable polymorph in this dataset: 0.0 meV/atom
Calculated formation energy: -0.115 eV per atom

Cell lengths 9.222, 9.222, 3.352 Å; angles 90.00, 90.00, 120.00 degrees
Fractional positions:
Ba1 0.000 0.000 0.000
Mg1 0.333 0.667 0.000
Mg2 0.667 0.333 0.000
In1 0.000 0.343 0.500
In2 0.000 0.657 0.500
In3 0.343 0.000 0.500
In4 0.343 0.343 0.500
In5 0.657 0.000 0.500
In6 0.657 0.657 0.500

# 8
Computed, not measured: a geometry-optimized Ti2AgAu2 structure at the PBE level of DFT.

DOS(E_F): 8.98 states/eV/cell
Uncorrected energy: -5.245 eV/atom